Afternoon Summer Downpour

Afternoon Summer Downpour

There’s something ineffably enchanting about the sudden, forceful descent of rain on a warm, lazy summer afternoon. Inspired by a delightful Reddit post from an avid nature lover, we’re diving headfirst into the splendor and sheer drama of an afternoon summer downpour.

== Crystal structures, as found in the file ==
┌──
HfTi2Al3: optimized geometry, PBE-GGA.

E ... -6.33 eV per atom
DOS(E_F) ... 1.081 states/eV per atom
Symmetry ... Cmmm, No. 65
Relative energy among the computed polymorphs ... 211 meV per atom
Spin magnetization ... 1.3 μB per cell

a = 5.280 Å, b = 9.054 Å, c = 6.966 Å
α = 130.53°, β = 112.27°, γ = 90.00°
Site moments in Bohr magnetons follow the coordinates.
Fractional positions:
Hf 0.500 0.250 0.500  0.20
Hf 0.500 0.750 0.500  0.20
Ti 0.166 0.916 0.832  0.12
Ti 0.166 0.416 0.832  0.12
Ti 0.834 0.584 0.168  0.12
└──

The Calm Before the Storm

Imagine this: it’s a typical sun-drenched day, and the air is so hot you can almost hear it sizzle. Birds are serenading from their high perches, and people are swaying in hammocks like human pendulums. Suddenly, a whisper of wind stirs the leaves and the sky’s azure hue deepens with a sneaky, mischievous hint of grey. Uh-oh. Are those storm clouds?

But wait! Before we get soaked, let’s take a moment to appreciate this prelude. It’s that tantalizing tranquil stillness that feels like nature is catching its breath. You might see kids glancing up from their games, puzzled, and gardeners looking skywards, as anxious as cats before a bath.

The Symphony Begins

Then, it starts. First, a teasing raindrop pitter-patters on the pavement. Another one beads on a leaf. Soon it’s a veritable downpour, and what began as a light drumroll turns into an electrifying symphony. It’s like the heavens are putting on a performance just for us, and we have front-row seats!

Ah, dear reader, this is where the grandeur of nature truly makes an entrance. Plants rejoice, animals scurry for cover, and humans, caught unprepared, dash for the nearest shelter, all while the rain clears the dusty air with a refreshing, earthy scent that no one’s quite found a way to bottle.

A Rhapsody in Raindrops

Have you ever noticed how rain seemingly conjures a soundtrack of a forgotten yet intimately known melody? With every drop, there’s a resonance – the splattering on the streets, the drumming on rooftops, and that oh-so-delicious plop when it lands on a puddle. Nature is arguably the best composer out there.

And let’s not forget about the visual spectacle. Colors pop under the lens of rain: greens intensify, the sky showcases an array of moody blues and greys, and everything glistens as if dusted with diamonds.

Oh, the Comrades of the Storm!

One can hardly speak of rain without acknowledging its unsuspecting allies – those fabulous creatures who brave (or foolishly ignore) the torrent. Frogs, those squishy prophets of precipitation, sing louder in joy. Birds might momentarily retreat but soon return, shaking feathers in defiance. And us mighty humans? We’re out there, umbrella in hand or sans cover (because where’s the fun in staying dry?), feeling wonderfully alive.

Kids love it! They relish every squelchy step in the mud, their spirits emboldened by nature’s watery gift. Adults might hide behind resigned expressions (what terrible timing!), but deep down, don’t we all fancy a little childhood nostalgia, a trip down our own memory lanes of paper boats and unruly splashes?

Materials data, kept here for reference:
~~~
No. 1
## CaTaPt2 (GGA-PBE)

Data for a geometry-optimized CaTaPt2 structure.

Cell: 2.8957 5.0149 5.0149 Å, 90.00 90.00 90.00°
Fractional positions:
Ta: 0.5000 0.5000 0.0000
Pt: 0.0000 0.0000 0.0000
Pt: 0.0000 0.5000 0.5000
Ca: 0.5000 0.0000 0.5000

Computed properties:
As for the symmetry: P4/mmm. Its energy of formation is -0.634 eV per atom. The energy is -28.47 eV for the cell shown. The calculation puts the energy above the most stable polymorph in this dataset at 0.035 eV/atom.

---

No. 2
## Ca2TaPt (GGA-PBE)

Data for a geometry-optimized Ca2TaPt structure.

Cell: 3.1183 3.1185 9.2588 Å, 90.00 90.00 90.10°
Fractional positions:
Ta: 0.5000 0.5000 0.7500
Ca: 0.0000 0.0000 0.4657
Ca: 0.0000 0.0000 0.0343
Pt: 0.5000 0.5000 0.2500

Computed properties:
As for the symmetry: Cmmm. Its energy of formation is 0.067 eV per atom. The energy is -21.63 eV for the cell shown. The calculation puts the energy above the most stable polymorph in this dataset at 0.209 eV/atom.

* * * * *

[1]
{
  "formula": "Cd2SiOs",
  "functional": "GGA-PBE",
  "state": "optimized geometry",
  "lattice": [[1.421, -2.434, 0.000], [1.421, 2.434, 0.000], [0.000, 0.000, 10.477]],
  "species": ["Cd", "Cd", "Si", "Os"],
  "fractional_positions": [[0.000, 0.000, 0.238], [0.000, 0.000, 0.762], [0.500, 0.500, 0.500], [0.500, 0.500, 0.000]],
  "e_form_raw_ev_per_atom": 0.637
}


[2]
{
  "formula": "CrRe3Ni",
  "functional": "GGA-PBE",
  "state": "optimized geometry",
  "lattice": [[4.365, 0.000, 0.000], [0.000, 4.365, 0.000], [0.000, 0.000, 4.365]],
  "species": ["Cr", "Re", "Re", "Re", "Ni"],
  "fractional_positions": [[0.000, 0.000, 0.000], [0.000, 0.500, 0.500], [0.500, 0.000, 0.500], [0.500, 0.500, 0.000], [0.500, 0.500, 0.500]],
  "dft_energy_ry_per_atom": -0.634
}


[3]
{
  "formula": "DyHo3Ru2",
  "functional": "GGA-PBE",
  "state": "optimized geometry",
  "lattice": [[-3.348, 6.725, 3.494], [3.348, -6.725, 3.494], [3.348, 6.725, -3.494]],
  "species": ["Dy", "Dy", "Ho", "Ho", "Ho", "Ho", "Ho", "Ho", "Ru", "Ru", "Ru", "Ru"],
  "fractional_positions": [[0.000, 0.000, 0.000], [0.500, 0.500, 0.000], [0.014, 0.250, 0.764], [0.250, 0.750, 0.500], [0.486, 0.250, 0.236], [0.514, 0.750, 0.764], [0.750, 0.250, 0.500], [0.986, 0.750, 0.236], [0.134, 0.722, 0.856], [0.366, 0.222, 0.587], [0.634, 0.778, 0.413], [0.866, 0.278, 0.144]],
  "dft_energy_ry_per_atom": -0.470
}


[4]
{
  "formula": "Cu2HgPt9",
  "functional": "GGA-PBE",
  "state": "optimized geometry",
  "lattice": [[3.948, 0.000, 0.000], [0.000, 3.948, 0.000], [0.000, 0.000, 11.975]],
  "species": ["Cu", "Cu", "Hg", "Pt", "Pt", "Pt", "Pt", "Pt", "Pt", "Pt", "Pt", "Pt"],
  "fractional_positions": [[0.000, 0.000, 0.161], [0.000, 0.000, 0.839], [0.000, 0.000, 0.500], [0.000, 0.500, 0.000], [0.000, 0.500, 0.320], [0.000, 0.500, 0.680], [0.500, 0.000, 0.000], [0.500, 0.000, 0.320], [0.500, 0.000, 0.680], [0.500, 0.500, 0.160], [0.500, 0.500, 0.500], [0.500, 0.500, 0.840]],
  "dft_energy_ry_per_atom": -0.389
}


[5]
{
~~~

The Ephemeral Sunshine

Every good rain shower promises one thing – a rainbow. As the clouds dissipate and the sun decides to reappear, all is forgiven. Warmth returns, and a glorious arc of color bridges the sky, connecting the mundane with the magical. It’s nature’s way of saying, ‘Thank you for watching; we hope you enjoyed the show.’

With the rain now a memory and the fragrance of wet earth lingering, everything looks fresher, almost reborn. Gardens wear a dewy crown, the world seems cleaner, and there’s a renewed zest in every living thing.

Daniel’s Quaint Musings

As someone who’s had a fair share of accidental soakings and delightful drenchings, believe me when I say there’s something absolutely therapeutic about an afternoon summer downpour. It’s a reminder of the simple joys, the thrill of unpredictability, and how fleeting beauty can be the most impactful.

Sure, you might have to wring out your clothes or deal with a damp, squishy feeling in your shoes, but isn’t it all worth it? Cheers to the rain, our whimsical maestro. Until next time, keep an eye on those mischievous clouds and let yourself get caught in the downpour once in a while. Who knows, you might just discover a new favorite memory.